## Assignment
What is needed: find the line underneath that holds "-0.5837 0.348", then give back that line and all lines after it there.
## Data
********
1.
C3H8N2O in the gas phase at a distorted geometry. Source: OMol25; level of theory: wB97M-V/def2-TZVPD.

net charge = 0
largest force on an atom = 1.61 eV/Å
SMILES string = [H]/N=C(/C)[N@H+](C)[O-]
electronic energy = -303.7485 a.u.
E_LUMO = 0.664 eV
HOMO-LUMO gap = 9.3981 eV

```
14
Properties=species:S:1:pos:R:3:mulliken_charge:R:1
O -1.0813 0.9069 -1.0540 -0.747
N -0.1148 -0.6534 1.6106 -0.597
N 0.0998 0.5337 -0.4968 0.208
C -0.7101 -1.7963 -0.4139 -1.088
C 0.7981 1.6523 0.1637 -1.115
C -0.1943 -0.6393 0.3655 0.654
H 0.0807 -2.2203 -1.0334 0.274
H 0.9834 2.4194 -0.5837 0.348
H 1.7340 1.3186 0.6121 0.402
H -1.0848 -2.5538 0.2663 0.324
H -1.5099 -1.4448 -1.0634 0.338
H 0.2536 0.1698 2.0733 0.255
H 0.1287 2.0672 0.9158 0.387
H 0.6168 0.2399 -1.3620 0.356
```

***

2.
C3H8N2O in the gas phase at a distorted geometry. Source: OMol25; level of theory: wB97M-V/def2-TZVPD.

net charge = 0
largest force on an atom = 4.26 eV/Å
electronic energy = -303.6468 a.u.
E_LUMO (alpha / beta) = -0.040 / 0.653 eV
HOMO-LUMO gap (alpha / beta) = 8.3531 / 9.0046 eV

```
14
Properties=species:S:1:pos:R:3:mulliken_charge:R:1
O -2.3787 0.6209 1.0514 -0.293
N -1.0865 0.2804 -0.7179 -0.405
N -1.5512 1.2320 0.1482 -0.245
C 0.5046 0.1485 -0.1547 0.541
C 0.5932 -0.8891 0.9647 -1.161
C 1.4269 0.1383 -1.2063 -0.975
H -2.5158 -0.2922 0.7280 0.357
H 1.5811 -0.8679 1.4243 0.376
H 1.1727 0.3106 -2.2421 0.279
H 0.3998 -1.8798 0.5553 0.282
H 2.4854 -0.0092 -1.0329 0.333
H -1.0262 0.7081 -1.6372 0.317
H -0.1236 -0.6650 1.7540 0.339
H 0.5184 1.1643 0.3653 0.254
```

***

3.
A molecular structure, C3H8N2O at a distorted geometry. Source: OMol25; level of theory: wB97M-V/def2-TZVPD.

net charge = 0
largest force on an atom = 4.52 eV/Å
electronic energy = -303.7615 a.u.
E_LUMO = 0.826 eV
HOMO-LUMO gap = 9.5273 eV

```
14
Properties=species:S:1:pos:R:3:mulliken_charge:R:1
O -0.5767 -1.5555 1.1652 -0.491
N 0.6875 0.0665 -0.0005 -0.441
N -1.2725 0.6133 0.8970 -0.362
C -0.3059 -0.2835 0.7472 0.515
C 1.7108 -0.8565 -0.4284 -1.012
C -1.2303 1.4515 -0.7404 -0.572
H 2.4819 -0.3045 -0.9680 0.256
H 0.2285 -2.0863 1.1115 0.347
H 2.2221 -1.3620 0.4068 0.318
H -1.1641 0.8367 -1.6299 0.260
H -1.3458 1.0238 1.8217 0.218
H -0.5237 2.2735 -0.6955 0.269
H 1.3223 -1.6470 -1.0830 0.372
H -2.2340 1.8302 -0.6037 0.322
```

***

4.
C3H8N2O in the gas phase at a distorted geometry. Source: OMol25; level of theory: wB97M-V/def2-TZVPD.

net charge = 0
largest force on an atom = 1.83 eV/Å
SMILES string = C[C@H](N)C(N)=O
electronic energy = -303.8713 a.u.
E_LUMO = 0.806 eV
HOMO-LUMO gap = 10.2884 eV

```
14
Properties=species:S:1:pos:R:3:mulliken_charge:R:1
O 0.0231 -2.0912 -0.3993 -0.644
N -0.8848 -0.5500 1.5595 -0.739
N 0.6013 -0.5048 -1.8583 -0.398
C -0.6425 0.1294 0.2721 0.452
C 0.2164 1.3848 0.5124 -1.551
C 0.0674 -0.8957 -0.6645 0.400
H 1.0067 0.4068 -1.9012 0.215
H 0.0125 2.0607 -0.3248 0.352
H -0.0586 1.7854 1.4809 0.466
H -1.6431 0.3006 -0.1342 0.273
H -0.8936 -1.5402 1.3405 0.303
H -0.0731 -0.3767 2.1485 0.234
H 1.2653 1.1157 0.4073 0.365
H 1.0030 -1.2249 -2.4389 0.271
```

***

5.
C3H8N2O in the gas phase at a distorted geometry. Source: OMol25; level of theory: wB97M-V/def2-TZVPD.

net charge = 0
largest force on an atom = 5.43 eV/Å
SMILES string = [H]/N=C(\N)CCO
electronic energy = -303.8026 a.u.
E_LUMO = 0.727 eV
HOMO-LUMO gap = 10.0204 eV

```
14
Properties=species:S:1:pos:R:3:mulliken_charge:R:1
O 1.8474 1.2165 0.5428 -0.577
N -0.9002 -1.3219 -1.3781 -0.501
N 0.6372 -1.3185 0.3848 -0.719
C -0.2945 -0.6988 -0.2822 0.607
C -0.5541 0.7597 0.0861 -0.282
C 0.4829 1.3599 0.9432 -0.610
H -0.8352 1.3561 -0.9882 0.244
H -0.6281 -2.3818 -1.6806 0.213
H -1.5940 0.7484 0.6635 0.238
H 0.3437 1.0048 1.9746 0.259
H 0.4579 2.3971 0.9102 0.386
H 2.0270 0.2130 0.7526 0.348
H -1.8652 -1.1254 -1.8082 0.231
H 0.8753 -2.2091 -0.1207 0.161
```

***

6.
2 unconnected molecules or ions with the total composition C3H8N2O at a distorted geometry. Source: OMol25; level of theory: wB97M-V/def2-TZVPD.
********
## Done
H 0.9834 2.4194 -0.5837 0.348
H 1.7340 1.3186 0.6121 0.402
H -1.0848 -2.5538 0.2663 0.324
H -1.5099 -1.4448 -1.0634 0.338
H 0.2536 0.1698 2.0733 0.255
H 0.1287 2.0672 0.9158 0.387
H 0.6168 0.2399 -1.3620 0.356
```

***

2.
C3H8N2O in the gas phase at a distorted geometry. Source: OMol25; level of theory: wB97M-V/def2-TZVPD.

net charge = 0
largest force on an atom = 4.26 eV/Å
electronic energy = -303.6468 a.u.
E_LUMO (alpha / beta) = -0.040 / 0.653 eV
HOMO-LUMO gap (alpha / beta) = 8.3531 / 9.0046 eV

```
14
Properties=species:S:1:pos:R:3:mulliken_charge:R:1
O -2.3787 0.6209 1.0514 -0.293
N -1.0865 0.2804 -0.7179 -0.405
N -1.5512 1.2320 0.1482 -0.245
C 0.5046 0.1485 -0.1547 0.541
C 0.5932 -0.8891 0.9647 -1.161
C 1.4269 0.1383 -1.2063 -0.975
H -2.5158 -0.2922 0.7280 0.357
H 1.5811 -0.8679 1.4243 0.376
H 1.1727 0.3106 -2.2421 0.279
H 0.3998 -1.8798 0.5553 0.282
H 2.4854 -0.0092 -1.0329 0.333
H -1.0262 0.7081 -1.6372 0.317
H -0.1236 -0.6650 1.7540 0.339
H 0.5184 1.1643 0.3653 0.254
```

***

3.
A molecular structure, C3H8N2O at a distorted geometry. Source: OMol25; level of theory: wB97M-V/def2-TZVPD.

net charge = 0
largest force on an atom = 4.52 eV/Å
electronic energy = -303.7615 a.u.
E_LUMO = 0.826 eV
HOMO-LUMO gap = 9.5273 eV

```
14
Properties=species:S:1:pos:R:3:mulliken_charge:R:1
O -0.5767 -1.5555 1.1652 -0.491
N 0.6875 0.0665 -0.0005 -0.441
N -1.2725 0.6133 0.8970 -0.362
C -0.3059 -0.2835 0.7472 0.515
C 1.7108 -0.8565 -0.4284 -1.012
C -1.2303 1.4515 -0.7404 -0.572
H 2.4819 -0.3045 -0.9680 0.256
H 0.2285 -2.0863 1.1115 0.347
H 2.2221 -1.3620 0.4068 0.318
H -1.1641 0.8367 -1.6299 0.260
H -1.3458 1.0238 1.8217 0.218
H -0.5237 2.2735 -0.6955 0.269
H 1.3223 -1.6470 -1.0830 0.372
H -2.2340 1.8302 -0.6037 0.322
```

***

4.
C3H8N2O in the gas phase at a distorted geometry. Source: OMol25; level of theory: wB97M-V/def2-TZVPD.

net charge = 0
largest force on an atom = 1.83 eV/Å
SMILES string = C[C@H](N)C(N)=O
electronic energy = -303.8713 a.u.
E_LUMO = 0.806 eV
HOMO-LUMO gap = 10.2884 eV

```
14
Properties=species:S:1:pos:R:3:mulliken_charge:R:1
O 0.0231 -2.0912 -0.3993 -0.644
N -0.8848 -0.5500 1.5595 -0.739
N 0.6013 -0.5048 -1.8583 -0.398
C -0.6425 0.1294 0.2721 0.452
C 0.2164 1.3848 0.5124 -1.551
C 0.0674 -0.8957 -0.6645 0.400
H 1.0067 0.4068 -1.9012 0.215
H 0.0125 2.0607 -0.3248 0.352
H -0.0586 1.7854 1.4809 0.466
H -1.6431 0.3006 -0.1342 0.273
H -0.8936 -1.5402 1.3405 0.303
H -0.0731 -0.3767 2.1485 0.234
H 1.2653 1.1157 0.4073 0.365
H 1.0030 -1.2249 -2.4389 0.271
```

***

5.
C3H8N2O in the gas phase at a distorted geometry. Source: OMol25; level of theory: wB97M-V/def2-TZVPD.

net charge = 0
largest force on an atom = 5.43 eV/Å
SMILES string = [H]/N=C(\N)CCO
electronic energy = -303.8026 a.u.
E_LUMO = 0.727 eV
HOMO-LUMO gap = 10.0204 eV

```
14
Properties=species:S:1:pos:R:3:mulliken_charge:R:1
O 1.8474 1.2165 0.5428 -0.577
N -0.9002 -1.3219 -1.3781 -0.501
N 0.6372 -1.3185 0.3848 -0.719
C -0.2945 -0.6988 -0.2822 0.607
C -0.5541 0.7597 0.0861 -0.282
C 0.4829 1.3599 0.9432 -0.610
H -0.8352 1.3561 -0.9882 0.244
H -0.6281 -2.3818 -1.6806 0.213
H -1.5940 0.7484 0.6635 0.238
H 0.3437 1.0048 1.9746 0.259
H 0.4579 2.3971 0.9102 0.386
H 2.0270 0.2130 0.7526 0.348
H -1.8652 -1.1254 -1.8082 0.231
H 0.8753 -2.2091 -0.1207 0.161
```

***

6.
2 unconnected molecules or ions with the total composition C3H8N2O at a distorted geometry. Source: OMol25; level of theory: wB97M-V/def2-TZVPD.